== Wanted ==
Next, count the lines further below that contain the word "for" and give the number alone.

== Excerpt ==
+++
Entry 1:
DFT (GGA-PBE) results for crystalline Ga2SnPt at its relaxed geometry.

crystal system: trigonal
mass density: 8.951 g/cm3
E_form: -110.1 kJ/mol of formula units
total moment: 0.000 μB/cell

abc: 5.8969 5.8969 5.8969
angles: 42.30 42.30 42.30
Fractional positions:
Ga 0.0000 0.0000 0.0000
Ga 0.2221 0.2221 0.2221
Sn 0.4358 0.4358 0.4358
Pt 0.6076 0.6076 0.6076



Entry 2:
DFT (GGA-PBE) results for crystalline KGe3Te at its relaxed geometry.

uncorrected formation energy: 1.47 eV/atom
crystal system: cubic
mass density: 3.761 g/cm3
total moment: 0.000 μB/cell

abc: 5.5375 5.5375 5.5375
angles: 90.00 90.00 90.00
Fractional positions:
K 0.0000 0.0000 0.0000
Ge 0.0000 0.0000 0.5000
Ge 0.0000 0.5000 0.0000
Ge 0.5000 0.0000 0.0000
Te 0.5000 0.5000 0.5000



Entry 3:
DFT (GGA-PBE) results for crystalline SiNi2Rh at its relaxed geometry.

uncorrected formation energy: -0.32 eV/atom
crystal system: tetragonal
mass density: 8.644 g/cm3
total moment: 0.004 μB/cell

abc: 4.4424 4.4424 4.4424
angles: 131.82 131.82 70.52
Fractional positions:
Si 0.0000 0.0000 0.0000
Ni 0.2500 0.7500 0.5000
Ni 0.7500 0.2500 0.5000
Rh 0.5000 0.5000 0.0000



Entry 4:
DFT (GGA-PBE) results for crystalline SmCoBi at its relaxed geometry.

crystal system: orthorhombic
mass density: 9.402 g/cm3
E_form: -9.1 kJ/mol of formula units
total moment: 1.101 μB/cell

abc: 6.4830 5.8294 5.7255
angles: 68.25 56.63 55.11
Fractional positions:
Sm 0.2461 0.7539 0.2461
Sm 0.7539 0.2461 0.7539
Co 0.2500 0.2500 0.2500
Co 0.7500 0.7500 0.7500
Bi 0.2535 0.2535 0.7465
Bi 0.7465 0.7465 0.2535



Entry 5:
DFT (GGA-PBE) results for crystalline ScTcP2 at its relaxed geometry.

crystal system: tetragonal
mass density: 5.511 g/cm3
E_form: -129.2 kJ/mol of formula units
total moment: 0.877 μB/cell

abc: 5.4155 5.4155 5.4155
angles: 141.25 141.25 55.96
Fractional positions:
Sc 0.0000 0.0000 0.0000
Tc 0.2500 0.7500 0.5000
P 0.5000 0.5000 0.0000
P 0.7500 0.2500 0.5000



Entry 6:
DFT (GGA-PBE) results for crystalline Nd6Bi2TeAs3 at its relaxed geometry.

uncorrected formation energy: -1.33 eV/atom
crystal system: monoclinic
mass density: 7.407 g/cm3
total moment: 0.000 μB/cell

abc: 9.9162 9.9162 8.9003
angles: 103.87 103.87 25.61
Fractional positions:
Nd 0.0051 0.0051 0.2355
Nd 0.3282 0.3282 0.4292
Nd 0.3381 0.3381 0.9047
Nd 0.6619 0.6619 0.0953
Nd 0.6718 0.6718 0.5708
Nd 0.9949 0.9949 0.7645
Bi 0.1662 0.1662 0.8323
Bi 0.8338 0.8338 0.1677
Te 0.5000 0.5000 0.5000
As 0.1662 0.1662 0.3338
As 0.5000 0.5000 0.0000
As 0.8338 0.8338 0.6662



Entry 7:
DFT (GGA-PBE) results for crystalline CsLaNO2 at its relaxed geometry.

uncorrected formation energy: -0.99 eV/atom
crystal system: tetragonal
mass density: 4.618 g/cm3
total moment: 2.828 μB/cell

abc: 4.6470 4.6470 5.2925
angles: 90.00 90.00 90.00
Fractional positions:
Cs 0.0000 0.0000 0.0000
La 0.5000 0.5000 0.5000
N 0.5000 0.5000 0.0000
O 0.0000 0.5000 0.5000
O 0.5000 0.0000 0.5000



Entry 8:
DFT (GGA-PBE) results for crystalline MgHPd2 at its relaxed geometry.

energy: -4.1548 eV/atom
crystal system: trigonal
mass density: 7.876 g/cm3
total moment: 0.000 μB/cell

abc: 6.8337 6.8337 6.8337
angles: 25.02 25.02 25.02
Fractional positions:
Mg 0.0000 0.0000 0.0000
H 0.5000 0.5000 0.5000
Pd 0.2262 0.2262 0.2262
Pd 0.7738 0.7738 0.7738



Entry 9:
DFT (GGA-PBE) results for crystalline TaRe2Au at its relaxed geometry.

crystal system: orthorhombic
mass density: 18.938 g/cm3
E_form: 85.2 kJ/mol of formula units
total moment: 0.000 μB/cell

abc: 2.7609 2.7609 9.0381
angles: 90.00 90.00 107.26
Fractional positions:
Ta 0.0000 0.0000 0.0000
Re 0.0000 0.0000 0.5260
Re 0.5000 0.5000 0.7556
Au 0.5000 0.5000 0.2603



Entry 10:
DFT (GGA-PBE) results for crystalline Pr4AlGaAg2 at its relaxed geometry.

crystal system: trigonal
mass density: 6.756 g/cm3
E_form: -259.1 kJ/mol of formula units
total moment: 0.004 μB/cell

abc: 9.2619 9.2619 9.2619
angles: 33.48 33.48 33.48
Fractional positions:
Pr 0.1228 0.1228 0.1228
Pr 0.3732 0.3732 0.3732
+++

== Done ==
10